The ClubSpark Booker App is available for download on iOS and Android.
The Booker app is designed for you to be able to make court bookings easily via the app.
In this article we are going to cover the following areas, click on the links below to access the page you need.
Cancelling A Court Booking via The App
Please note: The booker app is for those booking the courts, if you are booking on behalf of a junior, as an admin or coach using advanced options this needs to be done via the website.
To Make A Booking

Step 1: To use the Booker app, you will first need to 'Sign in'
Important: Please ensure that you are using the same details as on a desktop to access ClubSpark when making a court booking.

Once you are signed in, you will be able to view your upcoming bookings, previous bookings, and make a new court booking.

Step 2: To make a court booking via the app, you will first need to click on the blue 'Book A Court' button at the bottom of the screen.
The app will first take you to 'My Clubs' which will include venues that you are a member at or have previously made a court booking.

Step 3 (optional):
Skip to step 4 if you want to book at your own club or do not need to search for a particular club.
If you head to 'All Clubs', this will allow you to search for all other venues that are available to make court bookings at.

Step 4:
Once you have selected the venue that you wish to make a court booking at, you will be taken to the following screen where you will be able to select which court, time, date and duration.
You will be able to view as a table, like on the booking sheet via a website, or as a scroll for available times and courts.

Step 5:
Once you have selected your court, you will be taken to the following screen where you will be able to confirm your court booking and enter payment if the venue charges for their courts.
To make a payment click 'Pay with card' OR if the court cost of FREE, click 'Confirm'.

Once payment has been taken or booking confirmed, it will now appear under your 'Upcoming' bookings. As the app is linked with the venue, it will also appear on the venue's booking sheet online.

You may want to reserve a court for yourself and other players. To make a group booking you follow steps 1 - 3 as above. The rest is explained below.
Step 1: You choose a time, date and court. Once chosen click the blue 'book now' button (fees are shown in smaller font beside the time chosen to play).

Step 2: To add a player click the 'edit' button beside your name:

Step 3: Any players you have booked a court with in the past will display automatically. If this is a new person that you'd like to add to your booking, click the 'NEW' button in the top right corner.

Step 4: Next, you'll fill in the players first and second name. You'll also need to select whether they are a 'member' or 'guest'. Once all the options have been filled, click 'save'.

5) Your fees / costs will display and you'll have the option to pay via Apple Pay (iOS users only) OR by adding a card's payment details. Choose which payment method you'd like to use.

6) Your booking is now completed and you should see a confirmation screen of your bookings. You can click 'close' to leave that screen and you'll receive an email confirmation.

Your group bookings will appear in your main bookings list as with individual / single player bookings.

Please Note: Bookings can only be cancelled before they start. If you paid for your court booking, you may not receive a refund depending on the venue's refund policy i.e cancelling within 24 hours before the booking is due to start.
Step 1:
If you wish to cancel your court booking via the app, you will first need to log in to the app and head to the 'Upcoming' tab. Here you will be able to select the booking you wish to cancel.

Step 2:
Once you have selected the booking, you will be able to see a red 'Cancel Booking' button at the bottom of the screen. You will need to click on this, where you will be prompted to confirm that you wish to proceed with the cancellation.

Here the piece breaks off for records of molecules:
<<<
1.
# C5H8N2

A molecular structure, C5H8N2 in a non-equilibrium geometry (ωB97M-V with the def2-TZVPD basis set, OMol25).

Summary:
F_max (eV/Å): 1.11
Energy above the lowest of the compared OMol25 structures with the same formula, charge and spin (kJ/mol): 526.79

Element x y z (Å)
C -1.678 -0.102 -0.758
C -0.182 0.055 -0.711
C 0.363 1.037 0.048
C 0.665 -1.095 0.517
C 0.853 2.061 0.680
N 0.554 -0.912 -1.379
N -0.113 -1.797 1.193
H 1.490 -0.550 -1.566
H 0.340 -2.425 1.849
H 1.720 -0.869 0.592
H -1.945 -1.152 -0.650
H -2.176 0.488 0.010
H -2.016 0.234 -1.742
H 1.255 1.976 1.687
H 0.870 3.052 0.230

Forces on the atoms, in the same order (eV/Å):
0.028 -0.004 0.066
-0.437 0.801 0.584
-0.128 -0.251 -0.312
0.166 -0.663 -0.878
0.052 0.135 0.091
0.250 -0.449 0.965
0.062 0.070 -0.688
-0.036 -0.052 0.081
-0.032 0.343 0.132
-0.106 0.202 -0.037
0.089 -0.003 0.047
0.067 -0.033 -0.027
0.055 -0.006 0.023
-0.109 -0.006 -0.019
0.078 -0.085 -0.028


2.
# C3H6N3PS

C3H6N3PS in the gas phase in a non-equilibrium geometry (ωB97M-V with the def2-TZVPD basis set, OMol25).

Summary:
F_max (eV/Å): 3.06
SMILES: PCSn1ccnn1
Energy above the lowest of the compared OMol25 structures with the same formula, charge and spin (kJ/mol): 0.00

Element x y z (Å)
C 2.310 -0.536 -1.383
C 1.594 0.623 -1.213
C -1.603 0.767 0.431
N 2.363 -1.100 -0.193
N 1.621 -0.444 0.691
N 1.141 0.599 0.035
P -1.487 -0.319 -1.089
S 0.115 1.689 0.774
H 2.968 -0.833 -2.156
H 1.207 1.373 -1.887
H -1.811 0.122 1.244
H -2.377 1.493 0.297
H -1.938 -1.449 -0.387
H -2.804 -0.106 -1.646

Forces on the atoms, in the same order (eV/Å):
0.175 2.037 0.354
-0.705 0.492 -2.156
1.888 0.468 -0.875
-0.549 -1.287 2.717
1.195 -1.587 -0.802
0.164 0.269 0.395
-0.612 -0.030 -0.176
-2.365 -0.304 -0.107
0.085 -0.356 -0.737
0.334 -0.029 -0.026
-0.041 -0.236 1.010
-0.177 0.682 0.136
0.087 -0.298 -0.108
0.521 0.180 0.377


3.
# C7H8Cl3NSi

C7H8Cl3NSi in the gas phase in a non-equilibrium geometry (ωB97M-V with the def2-TZVPD basis set, OMol25).

Summary:
F_max (eV/Å): 4.36
Energy above the lowest of the compared OMol25 structures with the same formula, charge and spin (kJ/mol): 272.29

Element x y z (Å)
C -1.489 1.302 1.054
C -0.192 0.583 1.013
C -1.676 2.110 0.017
C 0.042 -0.547 0.265
C 0.141 2.169 -1.715
C 2.584 -0.395 0.001
C 1.372 -1.238 0.352
N -0.771 2.209 -0.977
Si -1.392 -1.325 -0.653
Cl -0.891 -3.205 -1.453
Cl -2.959 -1.580 0.570
Cl -2.114 -0.105 -2.167
H -2.202 0.862 1.612
H 0.680 0.959 1.469
H -2.656 2.444 -0.332
H 2.730 0.329 0.813
H 2.527 0.164 -0.933
H 3.483 -0.953 0.043
H 1.394 -1.737 1.323
H 1.386 -2.046 -0.303

Forces on the atoms, in the same order (eV/Å):
3.484 0.311 -2.605
-0.054 -2.434 -1.495
-2.600 -0.296 -0.161
-1.153 1.378 1.209
-0.523 0.234 0.266
-0.372 1.318 1.494
-0.093 0.391 0.073
2.261 0.844 -0.837
0.697 -0.040 -0.951
-0.199 1.030 0.377
-0.721 -0.356 0.575
0.107 -0.889 0.019
-2.643 -0.477 2.105
0.785 0.765 0.924
0.151 0.293 0.738
-0.019 0.263 -0.298
-0.271 -0.256 -0.018
0.845 -0.872 -0.286
>>>
The piece goes on:

Step 3:
Once you have cancelled the booking, it will update to say that it has now been cancelled. It will also be removed from the venue's booking sheet.

Any comments?
If you have any thoughts or comments on this article, please contact us at